1.
Below is a geometry-optimized ErSnP structure, with properties calculated at the GGA-PBE level.

The total energy comes out at -0.1951 Ha/atom. The calculation puts the formation enthalpy at 0 K at -0.65 eV per atom.

The structure belongs to space group R-3m (No. 166, hexagonal axes); the cell edges are 4.9539, 4.9539 and 22.2710 Å and the angles 90.00°, 90.00° and 120.00°. The asymmetric unit holds Er at (0.0000, 0.0000, 0.1019), Sn at (0.0000, 0.0000, 0.3412) and P at (0.0000, 0.0000, 0.2227).

2.
Below is a geometry-optimized CsPuPb2O8 structure, with properties calculated at the GGA-PBE level.

The total energy comes out at -0.2440 Ha/atom. For the formation energy from raw total energies, the calculation gives -1.450 eV/atom.

The structure belongs to space group P-1 (No. 2); the cell edges are 5.060, 5.697 and 8.524 Å and the angles 89.98°, 89.67° and 87.95°. The asymmetric unit holds Cs at (0.000, 0.000, 0.000), Pu at (0.000, 0.000, 0.500), Pb at (0.497, 0.496, 0.306), O at (0.129, 0.498, 0.000), O at (0.188, 0.152, 0.662), O at (0.191, 0.153, 0.337) and O at (0.287, 0.685, 0.500).

3.
Below is a geometry-optimized Hf2TiInN structure, with properties calculated at the GGA-PBE level.

The total energy comes out at -0.3149 Ha/atom. For the formation energy from raw total energies, the calculation gives -0.795 eV/atom.

The structure belongs to space group P4/mmm (No. 123); the cell edges are 4.526, 4.526 and 4.110 Å and the angles 90.00°, 90.00° and 90.00°. The asymmetric unit holds Hf at (0.000, 0.500, 0.000), Ti at (0.000, 0.000, 0.500), In at (0.500, 0.500, 0.500) and N at (0.000, 0.000, 0.000).

4.
Below is a geometry-optimized Rb3TeF structure, with properties calculated at the GGA-PBE level.

The total energy comes out at -0.1094 Ha/atom. For the formation energy from raw total energies, the calculation gives -1.393 eV/atom. As for the energy above the lowest structure with this stoichiometry: 0.287 eV/atom.

The structure belongs to space group Fd-3m (No. 227, origin choice 2); the cell edges are 15.207, 15.207 and 15.207 Å and the angles 90.00°, 90.00° and 90.00°. The asymmetric unit holds Rb at (0.100, 0.375, 0.375), Te at (0.000, 0.000, 0.500) and F at (0.000, 0.000, 0.000).


Here is a PBEsol-optimized structure of CuPtW from Alexandria via LeMat-Bulk. Energies are from meta-GGA SCAN.

Output
* magnetization: 0.0 μB per formula unit
* formation energy: 274 meV per atom

Cell: 5.841 5.841 5.841 Å, 90.00 90.00 90.00°
Space group F-43m (No. 216)
Asymmetric unit:
1 Cu 0.000 0.000 0.000 x4
2 Pt 0.250 0.250 0.250 x4
3 W 0.000 0.000 0.500 x4

Here is a PBEsol-optimized structure of Cu2PtW from Alexandria via LeMat-Bulk. Energies are from meta-GGA SCAN.

Output
* magnetization: 0.0 μB per formula unit
* formation energy: 165 meV per atom

Cell: 5.278 8.884 2.629 Å, 90.00 116.77 90.00°
Space group C2/m (No. 12)
Asymmetric unit:
1 Cu 0.250 0.250 0.000 x4
2 Pt 0.000 0.000 0.500 x2
3 W 0.000 0.500 0.500 x2

Here is a PBEsol-optimized structure of YCu2Pt from Alexandria via LeMat-Bulk. Energies are from meta-GGA SCAN.

Output
* magnetization: 0.0 μB per formula unit
* formation energy: -497 meV per atom

Cell: 6.320 6.320 6.320 Å, 90.00 90.00 90.00°
Space group Fm-3m (No. 225)
Asymmetric unit:
1 Y 0.000 0.000 0.000 x4
2 Cu 0.250 0.250 0.250 x8
3 Pt 0.000 0.000 0.500 x4

Here is a PBEsol-optimized structure of YCuPt from Alexandria via LeMat-Bulk. Energies are from meta-GGA SCAN.

Output
* magnetization: 0.0 μB per formula unit
* formation energy: -898 meV per atom

Cell: 4.2952 4.2952 3.4828 Å, 90.00 90.00 120.00°
Space group P-6m2 (No. 187)
Asymmetric unit:
1 Y 0.0000 0.0000 0.0000 x1
2 Cu 0.3333 0.6667 0.5000 x1
3 Pt 0.6667 0.3333 0.5000 x1
It remains to retype all of the notes further up with every line break kept.
1.
Below is a geometry-optimized ErSnP structure, with properties calculated at the GGA-PBE level.

The total energy comes out at -0.1951 Ha/atom. The calculation puts the formation enthalpy at 0 K at -0.65 eV per atom.

The structure belongs to space group R-3m (No. 166, hexagonal axes); the cell edges are 4.9539, 4.9539 and 22.2710 Å and the angles 90.00°, 90.00° and 120.00°. The asymmetric unit holds Er at (0.0000, 0.0000, 0.1019), Sn at (0.0000, 0.0000, 0.3412) and P at (0.0000, 0.0000, 0.2227).

2.
Below is a geometry-optimized CsPuPb2O8 structure, with properties calculated at the GGA-PBE level.

The total energy comes out at -0.2440 Ha/atom. For the formation energy from raw total energies, the calculation gives -1.450 eV/atom.

The structure belongs to space group P-1 (No. 2); the cell edges are 5.060, 5.697 and 8.524 Å and the angles 89.98°, 89.67° and 87.95°. The asymmetric unit holds Cs at (0.000, 0.000, 0.000), Pu at (0.000, 0.000, 0.500), Pb at (0.497, 0.496, 0.306), O at (0.129, 0.498, 0.000), O at (0.188, 0.152, 0.662), O at (0.191, 0.153, 0.337) and O at (0.287, 0.685, 0.500).

3.
Below is a geometry-optimized Hf2TiInN structure, with properties calculated at the GGA-PBE level.

The total energy comes out at -0.3149 Ha/atom. For the formation energy from raw total energies, the calculation gives -0.795 eV/atom.

The structure belongs to space group P4/mmm (No. 123); the cell edges are 4.526, 4.526 and 4.110 Å and the angles 90.00°, 90.00° and 90.00°. The asymmetric unit holds Hf at (0.000, 0.500, 0.000), Ti at (0.000, 0.000, 0.500), In at (0.500, 0.500, 0.500) and N at (0.000, 0.000, 0.000).

4.
Below is a geometry-optimized Rb3TeF structure, with properties calculated at the GGA-PBE level.

The total energy comes out at -0.1094 Ha/atom. For the formation energy from raw total energies, the calculation gives -1.393 eV/atom. As for the energy above the lowest structure with this stoichiometry: 0.287 eV/atom.

The structure belongs to space group Fd-3m (No. 227, origin choice 2); the cell edges are 15.207, 15.207 and 15.207 Å and the angles 90.00°, 90.00° and 90.00°. The asymmetric unit holds Rb at (0.100, 0.375, 0.375), Te at (0.000, 0.000, 0.500) and F at (0.000, 0.000, 0.000).


Here is a PBEsol-optimized structure of CuPtW from Alexandria via LeMat-Bulk. Energies are from meta-GGA SCAN.

Output
* magnetization: 0.0 μB per formula unit
* formation energy: 274 meV per atom

Cell: 5.841 5.841 5.841 Å, 90.00 90.00 90.00°
Space group F-43m (No. 216)
Asymmetric unit:
1 Cu 0.000 0.000 0.000 x4
2 Pt 0.250 0.250 0.250 x4
3 W 0.000 0.000 0.500 x4

Here is a PBEsol-optimized structure of Cu2PtW from Alexandria via LeMat-Bulk. Energies are from meta-GGA SCAN.

Output
* magnetization: 0.0 μB per formula unit
* formation energy: 165 meV per atom

Cell: 5.278 8.884 2.629 Å, 90.00 116.77 90.00°
Space group C2/m (No. 12)
Asymmetric unit:
1 Cu 0.250 0.250 0.000 x4
2 Pt 0.000 0.000 0.500 x2
3 W 0.000 0.500 0.500 x2

Here is a PBEsol-optimized structure of YCu2Pt from Alexandria via LeMat-Bulk. Energies are from meta-GGA SCAN.

Output
* magnetization: 0.0 μB per formula unit
* formation energy: -497 meV per atom

Cell: 6.320 6.320 6.320 Å, 90.00 90.00 90.00°
Space group Fm-3m (No. 225)
Asymmetric unit:
1 Y 0.000 0.000 0.000 x4
2 Cu 0.250 0.250 0.250 x8
3 Pt 0.000 0.000 0.500 x4

Here is a PBEsol-optimized structure of YCuPt from Alexandria via LeMat-Bulk. Energies are from meta-GGA SCAN.

Output
* magnetization: 0.0 μB per formula unit
* formation energy: -898 meV per atom

Cell: 4.2952 4.2952 3.4828 Å, 90.00 90.00 120.00°
Space group P-6m2 (No. 187)
Asymmetric unit:
1 Y 0.0000 0.0000 0.0000 x1
2 Cu 0.3333 0.6667 0.5000 x1
3 Pt 0.6667 0.3333 0.5000 x1